Material:
Calculated XRD peak list of BTeN for Cu Kα (λ = 1.5418 Å), from a structure optimized by DFT (GGA-PBE).

Atomic structure:
```
data_BTeN
_chemical_formula_sum 'B2 Te2 N2'
_cell_length_a 9.5171
_cell_length_b 9.3319
_cell_length_c 4.1620
_cell_angle_alpha 79.74
_cell_angle_beta 74.77
_cell_angle_gamma 25.49
_symmetry_space_group_name_H-M 'P 1'
_symmetry_Int_Tables_number 1
_symmetry_space_group_name_Hall 'P 1'
loop_
_atom_site_label
_atom_site_fract_x
_atom_site_fract_y
_atom_site_fract_z
_atom_site_occupancy
B1 0.2495 0.7505 0.2495 1
B2 0.7505 0.2495 0.7505 1
Te1 0.2200 0.2200 0.7800 1
Te2 0.7800 0.7800 0.2200 1
N1 0.0000 0.0000 0.5000 1
N2 0.5000 0.5000 0.0000 1
```

Main lines, in order of falling intensity (2θ = 15–90°):
| 2θ/deg | intensity |
| --- | --- |
| 29.43 | 100 |
| 19.83 | 94 |
| 33.30 | 76 |
| 26.48 | 60 |
| 41.68 | 58 |
| 35.58 | 46 |

=====

Calculated XRD peak list of Ti4B2N3 for Cu Kα (λ = 1.5418 Å), from a structure optimized by DFT (GGA-PBE).

Atomic structure:
```
data_Ti4B2N3
_chemical_formula_sum 'Ti4 B2 N3'
_cell_length_a 12.8200
_cell_length_b 12.8200
_cell_length_c 12.8200
_cell_angle_alpha 13.68
_cell_angle_beta 13.68
_cell_angle_gamma 13.68
_symmetry_space_group_name_H-M 'P 1'
_symmetry_Int_Tables_number 1
_symmetry_space_group_name_Hall 'P 1'
loop_
_atom_site_label
_atom_site_fract_x
_atom_site_fract_y
_atom_site_fract_z
_atom_site_occupancy
Ti1 0.0000 0.0000 0.0000 1
Ti2 0.2002 0.2002 0.2002 1
Ti3 0.4021 0.4021 0.4021 1
Ti4 0.6028 0.6028 0.6028 1
B1 0.1066 0.1066 0.1066 1
B2 0.7025 0.7025 0.7025 1
N1 0.3009 0.3009 0.3009 1
N2 0.5128 0.5128 0.5128 1
N3 0.9058 0.9058 0.9058 1
```

Main lines, in order of falling intensity (2θ = 15–90°):
| 2θ/deg | intensity |
| --- | --- |
| 41.57 | 100 |
| 35.94 | 49 |
| 60.64 | 29 |
| 59.84 | 27 |
| 35.34 | 19 |
| 20.99 | 16 |

=====

Please write out number 1 again, unchanged.
Calculated XRD peak list of BTeN for Cu Kα (λ = 1.5418 Å), from a structure optimized by DFT (GGA-PBE).

Atomic structure:
```
data_BTeN
_chemical_formula_sum 'B2 Te2 N2'
_cell_length_a 9.5171
_cell_length_b 9.3319
_cell_length_c 4.1620
_cell_angle_alpha 79.74
_cell_angle_beta 74.77
_cell_angle_gamma 25.49
_symmetry_space_group_name_H-M 'P 1'
_symmetry_Int_Tables_number 1
_symmetry_space_group_name_Hall 'P 1'
loop_
_atom_site_label
_atom_site_fract_x
_atom_site_fract_y
_atom_site_fract_z
_atom_site_occupancy
B1 0.2495 0.7505 0.2495 1
B2 0.7505 0.2495 0.7505 1
Te1 0.2200 0.2200 0.7800 1
Te2 0.7800 0.7800 0.2200 1
N1 0.0000 0.0000 0.5000 1
N2 0.5000 0.5000 0.0000 1
```

Main lines, in order of falling intensity (2θ = 15–90°):
| 2θ/deg | intensity |
| --- | --- |
| 29.43 | 100 |
| 19.83 | 94 |
| 33.30 | 76 |
| 26.48 | 60 |
| 41.68 | 58 |
| 35.58 | 46 |

=====

Repeat the first record exactly.
Calculated XRD peak list of BTeN for Cu Kα (λ = 1.5418 Å), from a structure optimized by DFT (GGA-PBE).

Atomic structure:
```
data_BTeN
_chemical_formula_sum 'B2 Te2 N2'
_cell_length_a 9.5171
_cell_length_b 9.3319
_cell_length_c 4.1620
_cell_angle_alpha 79.74
_cell_angle_beta 74.77
_cell_angle_gamma 25.49
_symmetry_space_group_name_H-M 'P 1'
_symmetry_Int_Tables_number 1
_symmetry_space_group_name_Hall 'P 1'
loop_
_atom_site_label
_atom_site_fract_x
_atom_site_fract_y
_atom_site_fract_z
_atom_site_occupancy
B1 0.2495 0.7505 0.2495 1
B2 0.7505 0.2495 0.7505 1
Te1 0.2200 0.2200 0.7800 1
Te2 0.7800 0.7800 0.2200 1
N1 0.0000 0.0000 0.5000 1
N2 0.5000 0.5000 0.0000 1
```

Main lines, in order of falling intensity (2θ = 15–90°):
| 2θ/deg | intensity |
| --- | --- |
| 29.43 | 100 |
| 19.83 | 94 |
| 33.30 | 76 |
| 26.48 | 60 |
| 41.68 | 58 |
| 35.58 | 46 |

* * * * *

Li2La2Bi2O: calculated powder diffractogram (CuKα), based on a DFT-relaxed cell (GGA-PBE, Alexandria).

```
Li2La2Bi2O
1.0
-2.343 2.343 8.018
2.343 -2.343 8.018
2.343 2.343 -8.018
Li La Bi O
2 2 2 1
Cartesian
2.343 0.000 0.000
0.000 2.343 0.000
0.000 0.000 2.320
0.000 0.000 13.715
0.000 0.000 5.856
0.000 0.000 10.179
0.000 0.000 0.000
```

Job:
Could you duplicate only the lines above with the word "CuKα" in them?

Written answer:
Li2La2Bi2O: calculated powder diffractogram (CuKα), based on a DFT-relaxed cell (GGA-PBE, Alexandria).